## Activity
Please set down the lines below from the one with "Properties=species:S:1:pos:R:3:forces:R:" to the one with "2.305834 0.0" without additions.
## Source
********
The following is a DFT calculation (wB97M-V/def2-TZVPD) of a cluster of 14 separate species, C54H130N14O10 in total at a distorted geometry.

For the LUMO energy (alpha / beta), the calculation gives 1.745 / 1.743 eV. The charge is -1. The calculation puts the highest occupied orbital energy (alpha / beta) at 0.3 / -6.1 eV. Its spin multiplicity is 2.

XYZ file:
```
208
Properties=species:S:1:pos:R:3:forces:R:3:lowdin_charge:R:1
C 5.404755 -6.620523 -6.305886 0.2 -1.0 0.8 -0.10
C 5.141755 -5.531883 -5.248766 -0.4 0.1 -2.2 -0.28
N 3.839755 -5.574483 -4.648456 -0.4 -0.7 0.7 -0.18
C 3.735915 -6.741523 -3.763336 -2.1 -0.2 0.0 -0.25
C 2.274525 -7.124773 -3.435396 0.0 0.1 0.2 -0.12
C 3.538405 -4.326983 -3.929966 0.1 0.1 0.0 -0.27
C 3.180005 -3.146663 -4.811226 -0.7 -0.1 -0.3 -0.12
H 5.471185 -7.598153 -5.828466 0.0 -0.2 0.1 0.05
H 6.375655 -6.488633 -6.783456 0.0 0.3 0.0 0.06
H 4.644885 -6.748233 -7.076846 -0.2 0.5 0.1 0.07
H 5.945685 -5.522633 -4.512756 0.3 0.3 0.1 0.12
H 5.102905 -4.651263 -5.889946 0.6 0.6 0.5 0.10
H 4.049325 -7.669563 -4.241476 1.0 0.5 -0.1 0.10
H 4.202435 -6.559783 -2.795136 0.7 -0.2 0.1 0.11
H 1.683855 -7.322933 -4.329796 0.0 0.5 -0.1 0.05
H 2.219375 -8.063303 -2.883846 0.4 -0.1 0.2 0.06
H 1.788375 -6.388733 -2.795076 -0.2 0.1 -0.2 0.05
H 4.400285 -3.966533 -3.368436 0.5 -0.3 0.5 0.10
H 2.758995 -4.530863 -3.195756 -0.2 0.0 -0.2 0.08
H 2.903915 -2.255283 -4.247926 0.3 0.0 0.4 0.05
H 2.262975 -3.338113 -5.368456 0.2 -0.2 -0.5 0.05
H 4.011775 -2.873213 -5.460436 -0.2 0.0 -0.2 0.06
C -3.766165 0.142417 -4.627736 -0.5 -0.4 1.0 -0.09
C -3.379845 1.406667 -5.367196 0.7 -0.6 -0.5 -0.22
N -2.345825 1.147747 -6.362946 1.4 1.4 -0.6 -0.20
C -2.661085 0.164867 -7.361616 0.9 -0.8 0.5 -0.32
C -3.804885 0.482287 -8.252356 -1.5 -0.1 -0.1 -0.10
C -0.995395 0.944017 -5.778316 -0.7 1.1 -0.4 -0.22
C -0.487135 2.262497 -5.155076 0.2 -0.2 0.3 -0.09
H -4.310185 -0.639463 -5.157646 0.0 0.3 -0.4 0.07
H -4.368765 0.355107 -3.744716 -0.2 0.2 0.0 0.07
H -2.881935 -0.353623 -4.227516 0.1 0.1 -0.1 0.03
H -4.196715 1.905247 -5.888966 -0.3 0.0 0.3 0.11
H -2.924095 2.094687 -4.655136 -0.4 0.2 0.0 0.09
H -1.774555 -0.044573 -7.960186 0.2 0.2 0.1 0.11
H -2.884115 -0.755613 -6.822096 0.0 -0.7 -0.3 0.09
H -4.712215 0.193657 -7.721746 -0.4 0.4 0.0 0.07
H -3.882505 1.530847 -8.539746 0.2 0.0 0.0 0.08
H -3.849215 -0.143793 -9.143516 0.4 0.0 -0.1 0.07
H -0.268245 0.694847 -6.551146 -0.4 -0.3 -0.3 0.10
H -1.070425 0.099147 -5.093706 0.6 0.0 0.4 0.09
H -0.890115 2.395727 -4.151106 0.0 0.3 0.0 0.04
H -0.682595 3.133187 -5.781016 -0.8 -0.1 -0.1 0.08
H 0.596475 2.353767 -5.080456 0.2 -0.8 0.2 0.05
C 0.255495 2.701247 1.796724 0.5 0.3 -0.6 -0.05
C 0.956945 1.741267 0.827254 -0.9 0.2 0.0 -0.23
N 0.049885 0.861247 0.067384 -0.4 0.2 0.2 -0.18
C -0.989415 1.503527 -0.786866 0.0 -0.2 0.9 -0.20
C -1.988825 0.494567 -1.382616 0.3 -0.3 -0.4 -0.06
C 0.767655 -0.211083 -0.603756 0.0 -0.3 0.7 -0.24
C 1.598805 0.169557 -1.839346 -0.5 -0.1 0.2 -0.04
H -0.355355 2.251857 2.579674 -0.2 -0.2 -0.3 0.06
H -0.299275 3.436617 1.214024 -0.3 0.1 0.2 0.06
H 1.051815 3.244187 2.305834 0.0 0.1 0.1 0.05
H 1.597175 2.322227 0.163414 0.2 0.3 -0.2 0.10
H 1.640865 1.155827 1.441754 0.0 -0.5 -0.2 0.09
H -1.561305 2.189297 -0.161766 0.0 0.1 0.2 0.09
H -0.515815 2.138847 -1.535306 0.1 0.0 -0.5 0.10
H -2.789455 0.915317 -1.990946 0.1 0.6 0.2 0.06
H -1.511595 -0.202913 -2.071006 0.3 -0.1 0.0 0.05
H -2.513855 -0.116893 -0.648746 0.2 0.1 0.4 0.06
H 0.030635 -1.002523 -0.739826 0.1 -0.1 -0.7 0.09
H 1.383675 -0.634003 0.189824 0.6 -0.1 -0.1 0.10
H 2.251595 -0.635363 -2.177086 0.0 -0.1 0.2 0.05
H 2.203655 1.050157 -1.623036 0.1 0.0 0.0 0.05
H 0.944505 0.409507 -2.677456 -0.1 0.1 -0.1 0.06
C -1.943855 2.887717 9.075714 0.5 -1.7 -0.3 -0.08
C -1.644005 1.575637 8.280604 -0.5 0.9 -0.8 -0.25
N -0.504835 1.706677 7.360724 1.3 -0.4 1.0 -0.19
C -0.534085 2.796707 6.394164 -2.3 0.0 -0.3 -0.22
C -1.706145 2.604277 5.354774 1.8 -0.3 -0.1 -0.07
C 0.065155 0.468617 6.809064 0.3 0.4 0.4 -0.23
********
## Outcome
Properties=species:S:1:pos:R:3:forces:R:3:lowdin_charge:R:1
C 5.404755 -6.620523 -6.305886 0.2 -1.0 0.8 -0.10
C 5.141755 -5.531883 -5.248766 -0.4 0.1 -2.2 -0.28
N 3.839755 -5.574483 -4.648456 -0.4 -0.7 0.7 -0.18
C 3.735915 -6.741523 -3.763336 -2.1 -0.2 0.0 -0.25
C 2.274525 -7.124773 -3.435396 0.0 0.1 0.2 -0.12
C 3.538405 -4.326983 -3.929966 0.1 0.1 0.0 -0.27
C 3.180005 -3.146663 -4.811226 -0.7 -0.1 -0.3 -0.12
H 5.471185 -7.598153 -5.828466 0.0 -0.2 0.1 0.05
H 6.375655 -6.488633 -6.783456 0.0 0.3 0.0 0.06
H 4.644885 -6.748233 -7.076846 -0.2 0.5 0.1 0.07
H 5.945685 -5.522633 -4.512756 0.3 0.3 0.1 0.12
H 5.102905 -4.651263 -5.889946 0.6 0.6 0.5 0.10
H 4.049325 -7.669563 -4.241476 1.0 0.5 -0.1 0.10
H 4.202435 -6.559783 -2.795136 0.7 -0.2 0.1 0.11
H 1.683855 -7.322933 -4.329796 0.0 0.5 -0.1 0.05
H 2.219375 -8.063303 -2.883846 0.4 -0.1 0.2 0.06
H 1.788375 -6.388733 -2.795076 -0.2 0.1 -0.2 0.05
H 4.400285 -3.966533 -3.368436 0.5 -0.3 0.5 0.10
H 2.758995 -4.530863 -3.195756 -0.2 0.0 -0.2 0.08
H 2.903915 -2.255283 -4.247926 0.3 0.0 0.4 0.05
H 2.262975 -3.338113 -5.368456 0.2 -0.2 -0.5 0.05
H 4.011775 -2.873213 -5.460436 -0.2 0.0 -0.2 0.06
C -3.766165 0.142417 -4.627736 -0.5 -0.4 1.0 -0.09
C -3.379845 1.406667 -5.367196 0.7 -0.6 -0.5 -0.22
N -2.345825 1.147747 -6.362946 1.4 1.4 -0.6 -0.20
C -2.661085 0.164867 -7.361616 0.9 -0.8 0.5 -0.32
C -3.804885 0.482287 -8.252356 -1.5 -0.1 -0.1 -0.10
C -0.995395 0.944017 -5.778316 -0.7 1.1 -0.4 -0.22
C -0.487135 2.262497 -5.155076 0.2 -0.2 0.3 -0.09
H -4.310185 -0.639463 -5.157646 0.0 0.3 -0.4 0.07
H -4.368765 0.355107 -3.744716 -0.2 0.2 0.0 0.07
H -2.881935 -0.353623 -4.227516 0.1 0.1 -0.1 0.03
H -4.196715 1.905247 -5.888966 -0.3 0.0 0.3 0.11
H -2.924095 2.094687 -4.655136 -0.4 0.2 0.0 0.09
H -1.774555 -0.044573 -7.960186 0.2 0.2 0.1 0.11
H -2.884115 -0.755613 -6.822096 0.0 -0.7 -0.3 0.09
H -4.712215 0.193657 -7.721746 -0.4 0.4 0.0 0.07
H -3.882505 1.530847 -8.539746 0.2 0.0 0.0 0.08
H -3.849215 -0.143793 -9.143516 0.4 0.0 -0.1 0.07
H -0.268245 0.694847 -6.551146 -0.4 -0.3 -0.3 0.10
H -1.070425 0.099147 -5.093706 0.6 0.0 0.4 0.09
H -0.890115 2.395727 -4.151106 0.0 0.3 0.0 0.04
H -0.682595 3.133187 -5.781016 -0.8 -0.1 -0.1 0.08
H 0.596475 2.353767 -5.080456 0.2 -0.8 0.2 0.05
C 0.255495 2.701247 1.796724 0.5 0.3 -0.6 -0.05
C 0.956945 1.741267 0.827254 -0.9 0.2 0.0 -0.23
N 0.049885 0.861247 0.067384 -0.4 0.2 0.2 -0.18
C -0.989415 1.503527 -0.786866 0.0 -0.2 0.9 -0.20
C -1.988825 0.494567 -1.382616 0.3 -0.3 -0.4 -0.06
C 0.767655 -0.211083 -0.603756 0.0 -0.3 0.7 -0.24
C 1.598805 0.169557 -1.839346 -0.5 -0.1 0.2 -0.04
H -0.355355 2.251857 2.579674 -0.2 -0.2 -0.3 0.06
H -0.299275 3.436617 1.214024 -0.3 0.1 0.2 0.06
H 1.051815 3.244187 2.305834 0.0 0.1 0.1 0.05